We Are #417Strong
How to Work From Home
Working from home for the foreseeable future? Here's some advice for staying productive while you're staying indoors.
by Jamie Thomas
Apr 03 2020 at 9 a.m.

Testing, Testing
You probably take your at-home internet connection for granted. As long as you’re getting a strong enough Wi-Fi signal to stream Netflix or check social media in various parts of the house (never the bathroom though, right?), you likely don’t think about it. If you’re working from home, that’ll have to change—at least a little bit.
Most home Wi-Fi systems aren’t set up to deal with the kind of tasks you might be doing in the office. That’s not to say it can’t handle it, but you may need to start reducing what else you’re doing online while you’re working. That means no Tiger King in the background when you’re supposed to be focused on the task at hand.
Before you get started, use an internet speed test to check how your connection is doing. Google’s in-build speed test will give you some examples of what your connection will be able to handle depending on the speed. If it’s average or low, you’re going to have to ration your use for more demanding tasks while you work to keep things smooth. You should also check your data cap. Many internet service providers have waived data caps for the time being, including Mediacom, but it’s a good idea to check that that’s still the case.
The Right Tools for the Job
┌──
1.
{"formula": "C3H2NOS", "method": "the ωB97M-V functional and the def2-TZVPD basis", "total_charge": -1, "e_lumo_ha": 0.1503, "homo_lumo_gap_ev": 6.999, "mol_weight_g_mol": 100.12, "e_tot_ha": -643.67564, "largest_force_ev_per_a": 3.98, "species": ["S", "C", "C", "N", "O", "C", "H", "H"], "coordinates": [[2.686, -0.005, -0.042], [0.652, 0.095, 0.001], [-0.143, -1.071, -0.021], [-1.417, -0.786, -0.007], [-1.516, 0.580, 0.026], [-0.258, 1.105, 0.029], [0.188, -2.091, -0.044], [-0.191, 2.173, 0.057]], "forces_ev_per_a": [[-3.5, 0.4, 0.1], [4.0, 0.3, -0.1], [-0.6, 0.6, 0.0], [-0.3, -0.6, 0.0], [0.0, 0.3, 0.0], [0.3, -1.0, 0.0], [0.0, -0.2, 0.0], [0.0, 0.2, 0.0]], "mulliken_charge": [-0.59, -0.26, -0.19, -0.43, -0.15, -0.23, 0.40, 0.45]}


2.
└──
Here the article continues:
Just your laptop or desktop computer isn’t always going to be enough to get things done. Sure, you can access most of your files from the cloud these days, but if you’re missing a cable to plug in a specific device and get two gadgets to communicate with each other, a whole day of productivity can be ruined (anyone who owns and uses both a Mac and a PC knows this pain already). Check your supplies: USB cables/adapters, chargers, printer ink, spare batteries, SD cards, even old-fashioned pads and pens so you don’t get caught short. Make sure that you're able to log into to everything remotely, too—the more you can streamline your processes, the easier it will be.
“I logged into my Apple ID on my Mac and set up my messages so I could text from my computer. It's been a lifesaver.”—Janelle Haik, Account Executive.
This also goes for household supplies you’ll need day-to-day like food, snacks and coffee. Especially coffee.
Dress for Work
Between two parts of the entry: calculated molecules
-- begin --
{
  "formula": "C61H62ClFNO16P2S",
  "method": "wB97M-V/def2-TZVPD",
  "max_force_ha_per_bohr": 0.1429,
  "homo_energy_ev": -10.9,
  "total_charge": 1,
  "gap_ev": 6.935,
  "elements": ["C", "C", "C", "C", "C", "C", "C", "F", "C", "C", "C", "O", "O", "P", "O", "Cl", "C", "C", "S", "C", "C", "C", "C", "C", "N", "C", "C", "C", "C", "C", "C", "C", "C", "P", "O", "H", "H", "H", "H", "H", "H", "H", "H", "H", "H", "H", "H", "H", "H", "H", "H", "H", "H", "H", "H", "H", "H", "H", "H", "H", "H", "H", "H", "H", "H", "H", "H", "H", "H", "H", "H", "H", "H", "C", "C", "C", "O", "C", "C", "C", "O", "H", "H", "H", "H", "C", "C", "C", "O", "C", "C", "C", "O", "H", "H", "H", "H", "C", "C", "C", "O", "C", "C", "C", "O", "H", "H", "H", "H", "C", "C", "C", "O", "C", "C", "C", "O", "H", "H", "H", "H", "C", "C", "C", "O", "C", "C", "C", "O", "H", "H", "H", "H", "C", "C", "C", "O", "C", "C", "C", "O", "H", "H", "H", "H"],
-- stop --
The calculated molecules stop here
Working from home is great because you can just bust out the laptop and work from your bed or couch in your pajamas right? Unfortunately, no. There are exceptions out there, but for most of us, wearing pajamas and lounging around isn’t going to be productive. Part of getting into the right mental space to actually work is getting dressed like you’re going to the office.
So, whether your workplace expects formal office-wear, business casual or even just regular casual, you should stick to it even when you’re working from home. And don’t tell me that your office is okay with you going in your pajamas either because I know that isn’t true.
Stick to Your Routine
Just like your dress code, your routine is a vital part of your productivity, even if you’ve never realized it. If you’re in a specific workspace 8–5, Monday–Friday, suddenly being at home all day, every day is going to be strange. The more you stick to the same routine—getting up at the same time you usually would, taking breaks or lunch at your usual time, finishing up as normal—the easier it will be to stay in the right frame of mind for work. If you need help, something as simple as setting reminders on your phone to tell you when to take breaks or do certain tasks can make a big difference.
“I have to stick to a schedule...pretend just like I'm going to the office. I get up, shower, make coffee, do my hair and makeup, put on real clothes and then head to my new office, which is my dining room table. I just can't get productive with PJs on.”—Joan Whitaker, Owner.
Stay Focused
The temptation to have the TV on in the background or even use your time at home to get some chores done while you work can be strong, but it’ll probably obliterate your workflow. If you’ve got a long list of to-dos for work, you might suddenly find a new enthusiasm for doing the dishes or laundry. Procrastination is a strange thing. Still, keep that stuff out of your designated workday. Breaking up your day is definitely good for your focus, but breaking it up too much is going to turn every task into an uphill battle.
“Don't work with the TV on. You'll tell yourself it's for 'background.' It never turns out to be 'background.'"—Christy Howell, Advertising Campaign Coordinator.
If you’re able to, it’s a good idea to find a separate space in your home to work. Trying to work in the living room or the bedroom is likely to be hard because you don’t associate either space with work. Even if it’s sitting at the kitchen table with your laptop, anywhere that isn’t somewhere that you associate with relaxing or sleeping will help. If you can find somewhere quiet and away from whoever else is home, even better. Do whatever helps create a specific, comfortable, productive workspace.
“I've kept my candles lit from the moment I sit down to work to when I wrap up work around 5 p.m. Having a good-smelling workspace makes me feel cozy...It makes me feel like I'm indulging in a little luxury while working.”—Jenna deJong, Biz 417 Editor.
If you have kids, or a partner or housemates with the mentality of small children, you’ll need to set rules about when you can pay them attention and when you can’t. This might be one of the biggest challenges you’re going to face, especially with younger kids, and it’s not always going to be possible. But, the more privacy you can get to work, the better. Set clear rules and stick to them. See more about working from home with kids in another #417strong blog.
“Be sure your family knows the rules. If you will be on a video or phone call, put pets away, inform anyone else in the house and put a sign on the front door so no one will ring the doorbell.”—Ammie Scott, Vice President of Strategy.
Keep Tabs on Your Progress
With all of this extra work to do just to stay focused, actually managing your time and your workload can become a struggle. If you’re not already using some kind of task management app, now is the time to consider it. Most are designed to function as feature-rich checklists so you can organize tasks, set reminders and check off what’s done. There are plenty of options out there, from something simple like Google Keep to more detailed options like Asana or Trello. Try some different options out and see how well they work for you. If you’re not already tracking your time on certain tasks, this might be helpful too. Using a time tracking app like Toggl or Clockify can help you to manage your time and make sure you’re not spending too much on certain tasks or projects.
Stay (or Get) Active
Staying focused and productive is one thing, but staving off cabin fever is totally different. Even those of us who think we’d be fine working from home or even think it would be preferable will start to feel isolated after a while, especially in our current situation.
One of the best ways to keep your balance is to get active. If you already have a fitness routine, then the important thing is to not neglect it. If you don’t, now’s your chance to start. Exercise of any kind can help you feel better, especially if you keep it up regularly. It can also help you focus, sleep better and generally feel more mentally present. Check out our blog about at-home workouts.
“Breaking up my day by taking a half hour around noon to do a workout or short yoga class has really helped with working from home! It re-energizes me for the rest of my day and is a nice mind reset.”—Erin Carleton, Sales Coordinator.
Team Work
Even if your workload is entirely up to you to get done, communication, teamwork and just staying in touch is going to be vital, especially if you’re all having to work from home. There’s a reason so many offices have adopted messaging apps like Google Hangouts, Slack or, more recently, Zoom. Even just being able to communicate quickly through text with your coworkers can not only help things keep moving, but will help all of you feel less isolated.
“Check in daily with your team, even if it's just a little chat message or an, 'I saw this funny meme and it reminded me of you.' It's nice to know that there are other people out there thinking about you.”–Sarah Patton, Art Director.